File:
~~~
Entry 1:
The following is a calculated XRD peak list of KP2W7O25. It was derived from a cell relaxed with GGA+U, using CuKα.
No peak broadening, texture or thermal motion is included.

Most intense lines, 2θ = 10–90°, sorted by position:
h k l	d [Å]	2θ (°)	intensity
4 0 1	4.558	19.48	23
3 1 -1	3.970	22.39	100
6 0 1	3.598	24.75	40
5 1 -1	3.489	25.53	21
1 1 2	2.833	31.59	24
0 2 0	2.733	32.77	17
9 1 0	2.665	33.63	40
6 2 -2	1.985	45.70	14
7 1 3	1.763	51.85	12
3 3 -1	1.738	52.66	12

Atomic structure:
Lattice parameters (Å, degrees): 27.632 5.466 6.817 90.00 96.78 90.00
Space group Cm (No. 8)
Inequivalent atoms, fractional coordinates:
K 0.000 0.000 0.000 (multiplicity 2)
P 0.043 0.500 0.832 (multiplicity 2)
P 0.456 0.500 0.440 (multiplicity 2)
W 0.080 0.000 0.549 (multiplicity 2)
W 0.135 0.500 0.247 (multiplicity 2)
W 0.192 0.000 0.942 (multiplicity 2)
W 0.248 0.500 0.642 (multiplicity 2)
W 0.303 0.000 0.337 (multiplicity 2)
W 0.361 0.500 0.037 (multiplicity 2)
W 0.418 0.000 0.725 (multiplicity 2)
O 0.011 0.000 0.399 (multiplicity 2)
O 0.051 0.263 0.722 (multiplicity 4)
O 0.072 0.500 0.038 (multiplicity 2)
O 0.101 0.251 0.374 (multiplicity 4)
O 0.135 0.000 0.731 (multiplicity 2)
O 0.161 0.250 0.084 (multiplicity 4)
O 0.188 0.500 0.434 (multiplicity 2)
O 0.221 0.243 0.794 (multiplicity 4)
O 0.250 0.000 0.137 (multiplicity 2)
O 0.279 0.250 0.477 (multiplicity 4)
O 0.311 0.500 0.840 (multiplicity 2)
O 0.339 0.247 0.184 (multiplicity 4)
O 0.364 0.000 0.542 (multiplicity 2)
O 0.400 0.249 0.887 (multiplicity 4)
O 0.426 0.500 0.235 (multiplicity 2)
O 0.446 0.268 0.558 (multiplicity 4)
O 0.487 0.000 0.871 (multiplicity 2)


Entry 2:
The following is a calculated XRD peak list of KP2WO8. It was derived from a cell relaxed with GGA+U, using CuKα.
No peak broadening, texture or thermal motion is included.

Most intense lines, 2θ = 10–90°, sorted by position:
h k l	d [Å]	2θ (°)	intensity
0 1 1	8.422	10.50	51
~~~

Exercise:
Filter the contents earlier on: keep the lines with the word "Entry", please.

Worked solution:
Entry 1:
Entry 2: